_Activity_
Start at the top of the block further down and reproduce each line, ending with the one that has "Ce8 0.1201".

_Given_
No. 1
LaNb3Rh: relaxed, PBE-GGA.

Calculated values
- Density of states at the Fermi level: 1.444 states/eV/atom
- Raw total energy: -33.0 eV for the cell shown
- Energy of formation from the pure elements: 1.896 eV/atom
- Space group: No. 221

Cell: 4.8224 4.8224 4.8224 Å, 90.00 90.00 90.00°
Closest atoms and distances in Å follow each position.
Fractional positions:
Nb1 0.5000 0.0000 0.0000  2 La 2.41
Nb2 0.0000 0.0000 0.5000  2 La 2.41
Nb3 0.0000 0.5000 0.0000  2 La 2.41
La1 0.0000 0.0000 0.0000  6 Nb 2.41
Rh1 0.5000 0.5000 0.5000  12 Nb 3.41

---

No. 2
Rb2YHI6: relaxed, PBE-GGA.

Calculated values
- Density of states at the Fermi level: 0.000 states/eV/atom
- Raw total energy: -31.9 eV for the cell shown
- Space group: No. 139

Cell: 9.3564 9.3564 8.2947 Å, 55.67 55.67 90.00°
Closest atoms and distances in Å follow each position.
Fractional positions:
I1 0.7737 0.7737 0.0000  1 Y 2.99
I2 0.7737 0.2263 0.0000  1 Y 2.99
I3 0.6897 0.6897 0.6206  1 H 1.90
I4 0.3103 0.3103 0.3794  1 H 1.90
I5 0.2263 0.7737 0.0000  1 Y 2.99
I6 0.2263 0.2263 0.0000  1 Y 2.99
Rb1 0.2500 0.7500 0.5000  8 I 4.16
Rb2 0.7500 0.2500 0.5000  8 I 4.16
Y1 0.0000 0.0000 0.0000  6 I 2.99-3.10
H1 0.5000 0.5000 0.0000  2 I 1.90

---

No. 3
Ce12ZrCo6: relaxed, PBE-GGA.

Calculated values
- Density of states at the Fermi level: 2.219 states/eV/atom
- Raw total energy: -121.6 eV for the cell shown
- Energy of formation from the pure elements: 0.041 eV/atom
- Space group: No. 166

Cell: 7.5513 7.5513 7.5513 Å, 83.33 83.33 83.33°
Closest atoms and distances in Å follow each position.
Fractional positions:
Ce1 0.1706 0.5621 0.5620  1 Co 2.28
Ce2 0.4379 0.4380 0.8294  1 Co 2.28
Ce3 0.8799 0.4471 0.8799  3 Co 2.87-2.95, 3 Ce 2.94-3.17
Ce4 0.1201 0.5529 0.1201  3 Co 2.87-2.95, 3 Ce 2.94-3.17
Ce5 0.5621 0.5620 0.1706  1 Co 2.28
Ce6 0.8799 0.8799 0.4471  3 Co 2.87-2.95, 3 Ce 2.94-3.17
Ce7 0.8294 0.4379 0.4380  1 Co 2.28
Ce8 0.1201 0.1201 0.5529  3 Co 2.87-2.95, 3 Ce 2.94-3.17
Ce9 0.5529 0.1201 0.1201  3 Co 2.87-2.95, 3 Ce 2.94-3.17
Ce10 0.4380 0.8294 0.4379  1 Co 2.28
Ce11 0.5620 0.1706 0.5621  1 Co 2.28
Ce12 0.4471 0.8799 0.8799  3 Co 2.87-2.95, 3 Ce 2.94-3.17
Zr1 0.0000 0.0000 0.0000  6 Co 2.67
Co1 0.1321 0.7667 0.7667  1 Ce 2.28
Co2 0.8679 0.2333 0.2333  1 Ce 2.28
Co3 0.7667 0.7667 0.1321  1 Ce 2.28
Co4 0.7667 0.1321 0.7667  1 Ce 2.28
Co5 0.2333 0.8679 0.2333  1 Ce 2.28
Co6 0.2333 0.2333 0.8679  1 Ce 2.28

---

Among the records above, which one has the highest density of states at the Fermi level?
Ce12ZrCo6


Record 1
DFT (GGA-PBEsol) results for crystalline AlAsW2 at its relaxed geometry.

Density of states at the Fermi level: 2.55 states/eV/f.u.
Energy relative to the elements: 0.15 eV per atom
Symmetry: Cm (8)
Energy relative to the lowest polymorph listed for this composition: 4.95 kcal/mol of atoms

Cell and atoms, written as CIF:
```
data_AlAsW2
_chemical_formula_sum 'Al1 As1 W2'
_symmetry_space_group_name_H-M 'P 1'
_symmetry_Int_Tables_number 1
_symmetry_space_group_name_Hall 'P 1'
_cell_length_a 3.0813
_cell_length_b 4.5273
_cell_length_c 4.7563
_cell_angle_alpha 105.32
_cell_angle_beta 108.90
_cell_angle_gamma 90.00
loop_
_atom_site_label
_atom_site_type_symbol
_atom_site_fract_x
_atom_site_fract_y
_atom_site_fract_z
_atom_site_occupancy
As1 As 0.2518 0.7852 0.5035 1
Al1 Al 0.5004 0.4661 0.0007 1
W1 W 0.9939 0.9595 0.9878 1
W2 W 0.7540 0.2892 0.5080 1
```


Record 2
DFT (GGA-PBEsol) results for crystalline AlAsW2 at its relaxed geometry.

Density of states at the Fermi level: 2.80 states/eV/f.u.
Energy relative to the elements: 0.36 eV per atom
Symmetry: Cmmm (65)
Energy relative to the lowest polymorph listed for this composition: 9.70 kcal/mol of atoms

Cell and atoms, written as CIF:
```
data_AlAsW2
_chemical_formula_sum 'Al1 As1 W2'
_symmetry_space_group_name_H-M 'P 1'
_symmetry_Int_Tables_number 1
_symmetry_space_group_name_Hall 'P 1'
_cell_length_a 2.8303
_cell_length_b 2.8303
_cell_length_c 8.3637
_cell_angle_alpha 90.00
_cell_angle_beta 90.00

_Written answer_
No. 1
LaNb3Rh: relaxed, PBE-GGA.

Calculated values
- Density of states at the Fermi level: 1.444 states/eV/atom
- Raw total energy: -33.0 eV for the cell shown
- Energy of formation from the pure elements: 1.896 eV/atom
- Space group: No. 221

Cell: 4.8224 4.8224 4.8224 Å, 90.00 90.00 90.00°
Closest atoms and distances in Å follow each position.
Fractional positions:
Nb1 0.5000 0.0000 0.0000  2 La 2.41
Nb2 0.0000 0.0000 0.5000  2 La 2.41
Nb3 0.0000 0.5000 0.0000  2 La 2.41
La1 0.0000 0.0000 0.0000  6 Nb 2.41
Rh1 0.5000 0.5000 0.5000  12 Nb 3.41

---

No. 2
Rb2YHI6: relaxed, PBE-GGA.

Calculated values
- Density of states at the Fermi level: 0.000 states/eV/atom
- Raw total energy: -31.9 eV for the cell shown
- Space group: No. 139

Cell: 9.3564 9.3564 8.2947 Å, 55.67 55.67 90.00°
Closest atoms and distances in Å follow each position.
Fractional positions:
I1 0.7737 0.7737 0.0000  1 Y 2.99
I2 0.7737 0.2263 0.0000  1 Y 2.99
I3 0.6897 0.6897 0.6206  1 H 1.90
I4 0.3103 0.3103 0.3794  1 H 1.90
I5 0.2263 0.7737 0.0000  1 Y 2.99
I6 0.2263 0.2263 0.0000  1 Y 2.99
Rb1 0.2500 0.7500 0.5000  8 I 4.16
Rb2 0.7500 0.2500 0.5000  8 I 4.16
Y1 0.0000 0.0000 0.0000  6 I 2.99-3.10
H1 0.5000 0.5000 0.0000  2 I 1.90

---

No. 3
Ce12ZrCo6: relaxed, PBE-GGA.

Calculated values
- Density of states at the Fermi level: 2.219 states/eV/atom
- Raw total energy: -121.6 eV for the cell shown
- Energy of formation from the pure elements: 0.041 eV/atom
- Space group: No. 166

Cell: 7.5513 7.5513 7.5513 Å, 83.33 83.33 83.33°
Closest atoms and distances in Å follow each position.
Fractional positions:
Ce1 0.1706 0.5621 0.5620  1 Co 2.28
Ce2 0.4379 0.4380 0.8294  1 Co 2.28
Ce3 0.8799 0.4471 0.8799  3 Co 2.87-2.95, 3 Ce 2.94-3.17
Ce4 0.1201 0.5529 0.1201  3 Co 2.87-2.95, 3 Ce 2.94-3.17
Ce5 0.5621 0.5620 0.1706  1 Co 2.28
Ce6 0.8799 0.8799 0.4471  3 Co 2.87-2.95, 3 Ce 2.94-3.17
Ce7 0.8294 0.4379 0.4380  1 Co 2.28
Ce8 0.1201 0.1201 0.5529  3 Co 2.87-2.95, 3 Ce 2.94-3.17